_Wanted_
Transcribe every line underneath that contains the word "eV".

_Data_
- - -
A relaxed structure of Li2PaTaS6. Source: the Alexandria database, functional PBE.

Calculated values
Total moment (μB/cell): 0.0
Uncorrected formation energy (eV per atom): -1.19

Unit cell a=6.4908 b=6.4908 c=17.5886 alpha=90.00 beta=90.00 gamma=120.00
Space group R3 (No. 146, hexagonal axes)
Symmetry-distinct sites (fractional):
1 Li 0.0000 0.0000 0.0000
2 Li 0.0000 0.0000 0.4959
3 Pa 0.0000 0.0000 0.8055
4 Ta 0.0000 0.0000 0.3068
5 S 0.0103 0.7020 0.3922
6 S 0.0347 0.3387 0.8979

* * * * *

[1]
Compound: MnI3F
Source: Alexandria via LeMat-Bulk
Functional: GGA+U
Structure: relaxed

POSCAR file:
```
MnI3F
1.0
5.476 0.000 0.000
0.000 5.476 0.000
0.000 0.000 5.476
Mn I F
1 3 1
direct
0.000 0.000 0.000
0.000 0.000 0.500
0.000 0.500 0.000
0.500 0.000 0.000
0.500 0.500 0.500
```

Values from the calculation:
Polymorph energy (0 for the lowest one): 0 meV per atom
DOS(E_F): 1.70 states/eV/atom
Space group: Pm-3m
Magnetic moment: 3.43 μB/f.u.
V: 32.8 A^3/atom


[2]
Compound: MnI2F
Source: Alexandria via LeMat-Bulk
Functional: GGA+U
Structure: relaxed

POSCAR file:
```
MnI2F
1.0
7.125 0.000 0.000
0.000 7.125 0.000
0.000 0.000 10.035
Mn I F
4 8 4
direct
0.000 0.000 0.000
0.000 0.500 0.250
0.500 0.000 0.750
0.500 0.500 0.500
0.237 0.250 0.125
0.250 0.737 0.375
0.250 0.763 0.875
0.263 0.250 0.625
0.737 0.750 0.625
0.750 0.237 0.875
0.750 0.263 0.375
0.763 0.750 0.125
0.000 0.000 0.500
0.000 0.500 0.750
0.500 0.000 0.250
0.500 0.500 0.000
```

Values from the calculation:
Polymorph energy (0 for the lowest one): 535 meV per atom
DOS(E_F): 0.58 states/eV/atom
Space group: I-42d
Magnetic moment: 4.00 μB/f.u.
V: 31.8 A^3/atom


[3]
Compound: MnIF2
Source: Alexandria via LeMat-Bulk
Functional: GGA+U
Structure: relaxed

POSCAR file:
```
MnIF2
1.0
6.504 0.000 0.000
0.000 6.504 0.000
0.000 0.000 9.404
Mn I F
4 4 8
direct
0.000 0.250 0.375
0.000 0.750 0.625
0.500 0.250 0.125
0.500 0.750 0.875
0.000 0.250 0.875
0.000 0.750 0.125
0.500 0.250 0.625
0.500 0.750 0.375
0.000 0.000 0.500
0.000 0.500 0.500
0.250 0.250 0.250
0.250 0.750 0.750
0.500 0.000 0.000
0.500 0.500 0.000
0.750 0.250 0.250
0.750 0.750 0.750
```

Values from the calculation:
Polymorph energy (0 for the lowest one): 180 meV per atom
DOS(E_F): 0.08 states/eV/atom
Space group: I4_1/amd
Magnetic moment: 6.00 μB/f.u.
V: 24.9 A^3/atom


[4]
Compound: MnIF
Source: Alexandria via LeMat-Bulk
Functional: GGA+U
Structure: relaxed

POSCAR file:
```
MnIF
1.0
7.446 0.000 0.000
0.000 7.279 0.000
-2.016 0.000 6.068
Mn I F
4 4 4
direct
0.020 0.132 0.231
0.020 0.368 0.731
0.980 0.632 0.269
0.980 0.868 0.769
0.282 0.077 0.673
0.282 0.423 0.173
0.718 0.577 0.827
0.718 0.923 0.327
0.087 0.638 0.626
0.087 0.862 0.126
0.913 0.138 0.874
0.913 0.362 0.374
```

Values from the calculation:
Polymorph energy (0 for the lowest one): 0 meV per atom
DOS(E_F): 0.00 states/eV/atom
Space group: P2_1/c
Magnetic moment: 5.00 μB/f.u.
V: 27.4 A^3/atom


[5]
Compound: MnIF2
Source: Alexandria via LeMat-Bulk
Functional: GGA+U
Structure: relaxed

POSCAR file:
```
MnIF2
1.0
3.117 0.000 0.000
0.000 14.439 0.000
0.000 0.000 8.151
Mn I F
4 4 8
direct
0.000 0.168 0.250
0.000 0.832 0.750
0.500 0.332 0.750
0.500 0.668 0.250
0.000 0.040 0.750
0.000 0.960 0.250
0.500 0.460 0.250
0.500 0.540 0.750
0.000 0.323 0.594
0.000 0.323 0.906
0.000 0.677 0.094
0.000 0.677 0.406
0.500 0.177 0.094
0.500 0.177 0.406
0.500 0.823 0.594
0.500 0.823 0.906
```

Values from the calculation:
Polymorph energy (0 for the lowest one): 100 meV per atom
DOS(E_F): 0.40 states/eV/atom
Space group: Cmcm
Magnetic moment: 4.76 μB/f.u.
V: 22.9 A^3/atom


[6]
Compound: MnIF3
Source: Alexandria via LeMat-Bulk
Functional: GGA+U
Structure: relaxed

POSCAR file:
```
MnIF3
1.0
4.809 0.000 0.000
0.000 4.809 0.000
0.000 0.000 4.809
Mn I F
1 1 3
direct
0.000 0.000 0.000
0.500 0.500 0.500
0.000 0.500 0.500
0.500 0.000 0.500
0.500 0.500 0.000
```

Values from the calculation:
Polymorph energy (0 for the lowest one): 1228 meV per atom
DOS(E_F): 0.33 states/eV/atom
- - -

_Worked solution_
Uncorrected formation energy (eV per atom): -1.19
DOS(E_F): 1.70 states/eV/atom
DOS(E_F): 0.58 states/eV/atom
DOS(E_F): 0.08 states/eV/atom
DOS(E_F): 0.00 states/eV/atom
DOS(E_F): 0.40 states/eV/atom
DOS(E_F): 0.33 states/eV/atom